Kwa NateKo
@kwa · 4:49

Adventures in Randomizing / Diversifying Swell Interactions

And I certainly have not come across, even in the browsing of the worldwide, 1000 different users that have not come across here or even I don't know how many hundred I see. I guess maybe it means running into some of the many posters that may only post once or twice. And I actually think if that's the case, I remember this being discussed before. It really would benefit for Swell to

#search #random #conversations

Dewuan .
@FryedOreo · 2:20
You said it yourself, you were looking at other people, but I don't know if you said you wanted to interact or hit the reply button or not. I've been on this app yeah, go ahead. I've been on this app now for like about three years and I've been on other apps like this before. And in my personal opinion, that's the gold spot, that's the sweet spot of apps like this, is that you get to interact with other people
Kwa NateKo
@kwa · 3:07


If you look for a key term like search option, it listed it by date, or maybe limited it to a time period like the last week, the last month, or something like that, or last three months. So you can look for search terms that are not as hold on, let me finish this guy. You can look for search terms that are not as relevant to the people that usually come into your feed or whatever, your browse or categories, or your latest results or your invites
Kwa NateKo
@kwa · 0:19
It's. Also if I didn't say thank you, I don't want to sound like somebody who's searching for a problem here and looking for something to complain about. I really am trying to spread my wings a little in terms of the people that I talk to on the platform
Dewuan .
@FryedOreo · 2:58

What comes next are crystal structures, not part of the entry >
=====
Record 1
Dy6Y2Ho3Tm: relaxed, GGA-PBE.

Lattice parameters (Å, degrees): 6.1310 10.6068 11.7216 90.00 99.98 90.00
Space group C2/m (No. 12)
Inequivalent atoms, fractional coordinates:
Dy 0.2485 0.0000 0.2492 [4 per cell]
Dy 0.2499 0.1662 0.7506 [8 per cell]
Y 0.0000 0.3334 0.5000 [4 per cell]
Ho 0.0000 0.1667 0.0000 [4 per cell]
Ho 0.0000 0.5000 0.0000 [2 per cell]
Tm 0.0000 0.0000 0.5000 [2 per cell]

Values from the calculation:
DOS(E_F) (states/eV per atom): 1.371
Energy of formation (meV/atom): 20
Raw total energy (eV/atom): -4.876

---

Record 2
DyY2Ho3Tm6: relaxed, GGA-PBE.

Lattice parameters (Å, degrees): 6.0929 10.5391 11.6491 90.00 100.01 90.00
Space group C2/m (No. 12)
Inequivalent atoms, fractional coordinates:
Dy 0.0000 0.0000 0.0000 [2 per cell]
Y 0.0000 0.3334 0.0000 [4 per cell]
Ho 0.0000 0.1668 0.5000 [4 per cell]
Ho 0.0000 0.5000 0.5000 [2 per cell]
Tm 0.2485 0.0000 0.7488 [4 per cell]
Tm 0.2495 0.3337 0.7488 [8 per cell]

Values from the calculation:
DOS(E_F) (states/eV per atom): 1.437
Energy of formation (meV/atom): 26
Raw total energy (eV/atom): -4.815

---

Record 3
DyY5Ho2Tm: relaxed, GGA-PBE.

Lattice parameters (Å, degrees): 5.5834 19.9745 10.5183 90.00 90.00 90.00
Space group Cmc2_1 (No. 36)
Inequivalent atoms, fractional coordinates:
Dy 0.0000 0.1965 0.0000 [4 per cell]
Y 0.0000 0.0171 0.0082 [4 per cell]
Y 0.0000 0.2786 0.3016 [4 per cell]
Y 0.0000 0.3008 0.6924 [4 per cell]
Y 0.0000 0.3850 0.0100 [4 per cell]
Y 0.0000 0.4801 0.7255 [4 per cell]
Ho 0.0000 0.1105 0.7246 [4 per cell]
Ho 0.0000 0.1122 0.3030 [4 per cell]
Tm 0.0000 0.4116 0.4419 [4 per cell]

Values from the calculation:
DOS(E_F) (states/eV per atom): 1.773
Energy of formation (meV/atom): 154
Raw total energy (eV/atom): -5.462

---

Record 4
Dy6Y2HoTm: relaxed, GGA-PBE.

Lattice parameters (Å, degrees): 9.0526 14.9865 9.4856 90.00 97.11 90.00
Space group C2/c (No. 15)
Inequivalent atoms, fractional coordinates:
Dy 0.0612 0.1855 0.4435 [8 per cell]
Dy 0.1009 0.3913 0.6189 [8 per cell]
Dy 0.2072 0.2239 0.8136 [8 per cell]
Y 0.2503 0.0515 0.0447 [8 per cell]
Ho 0.0000 0.0246 0.7500 [4 per cell]
Tm 0.0000 0.4095 0.2500 [4 per cell]

Values from the calculation:
DOS(E_F) (states/eV per atom): 1.384
Energy of formation (meV/atom): 124
Raw total energy (eV/atom): -4.835

---

Number 4 is which compound?
Dy6Y2HoTm

~~~~~

(1)
This record from Alexandria describes a relaxed MnCr3In crystal. The functional is PBE-GGA.

Lattice parameters (Å, degrees): 4.318 4.318 4.318 90.00 90.00 90.00
Atoms (fractional coordinates):
Mn  0.000  0.000  0.000
Cr  0.000  0.000  0.500
Cr  0.000  0.500  0.000
Cr  0.500  0.000  0.000
In  0.500  0.500  0.500

(2)
This record from Alexandria describes a relaxed MnCr2In crystal. The functional is PBE-GGA.

Lattice parameters (Å, degrees): 2.978 2.978 6.887 90.00 90.00 90.00
Atoms (fractional coordinates):
Mn  0.000  0.000  0.000
Cr  0.500  0.500  0.208
Cr  0.500  0.500  0.792
In  0.000  0.000  0.500

(3)
=====


It. Yeah, you got it right. It's probably 20 people at Max that use this app on a daily basis. And I think the caveat with that date search is that you're just going to be listening to a lot of dead Swells, so there's not going to be anybody replying back to you. But, I mean, you never know
Kwa NateKo
@kwa · 3:20

**Materials data, kept here for reference:**
=====
The following is a DFT calculation (GGA-PBE) of a relaxed BiAuOF2 crystal.

DOS(E_F) (states/eV/f.u.): 2.9
VASP energy (Ry/atom): -0.266
Relative energy among the computed polymorphs (meV/atom): 513.6

Cell: 4.524 4.524 4.100 Å, 90.00 90.00 90.00°
Space group P4/mmm (No. 123)
Unique sites:
Bi 0.000 0.000 0.000 [1 per cell]
Au 0.500 0.500 0.500 [1 per cell]
O 0.500 0.500 0.000 [1 per cell]
F 0.000 0.500 0.500 [2 per cell]

~~~~~

1.
Entry from Alexandria: SrLaFe2 after structural relaxation (PBE-GGA).

Results
Formation energy = 430 meV per atom
DOS at the Fermi energy = 5.81 states/eV per cell
Electronic total energy = -5.45 eV/atom
Magnetic moment = 4.27 μB per formula unit

a b c (Å): 3.804 3.804 7.118
angles (deg): 90.00 90.00 90.00
Positions (direct):
Sr (0.000, 0.000, 0.000)
La (0.000, 0.000, 0.500)
Fe (0.500, 0.500, 0.330)
Fe (0.500, 0.500, 0.670)

=====

2.
Entry from Alexandria: Tb3Pu after structural relaxation (PBE-GGA).

Results
Formation energy = 139 meV per atom
DOS at the Fermi energy = 15.71 states/eV per cell
Electronic total energy = -6.92 eV/atom
Magnetic moment = 6.21 μB per formula unit

a b c (Å): 4.976 4.976 4.976
angles (deg): 90.00 90.00 90.00
Positions (direct):
Tb (0.000, 0.000, 0.500)
Tb (0.000, 0.500, 0.000)
Tb (0.500, 0.000, 0.000)
Pu (0.500, 0.500, 0.500)

=====

3.
Entry from Alexandria: AcTbNdTh after structural relaxation (PBE-GGA).

Results
Formation energy = 177 meV per atom
DOS at the Fermi energy = 29.90 states/eV per cell
Electronic total energy = -5.05 eV/atom
Magnetic moment = 0.00 μB per formula unit

a b c (Å): 8.298 8.298 8.298
angles (deg): 90.00 90.00 90.00
Positions (direct):
Ac (0.000, 0.000, 0.000)
Ac (0.000, 0.500, 0.500)
Ac (0.500, 0.000, 0.500)
Ac (0.500, 0.500, 0.000)
Tb (0.250, 0.250, 0.750)
Tb (0.250, 0.750, 0.250)
Tb (0.750, 0.250, 0.250)
Tb (0.750, 0.750, 0.750)
Nd (0.250, 0.250, 0.250)
Nd (0.250, 0.750, 0.750)
Nd (0.750, 0.250, 0.750)
Nd (0.750, 0.750, 0.250)
Th (0.000, 0.000, 0.500)
Th (0.000, 0.500, 0.000)
Th (0.500, 0.000, 0.000)
Th (0.500, 0.500, 0.500)

=====

4.
Entry from Alexandria: ZrTi2ZnCd after structural relaxation (PBE-GGA).

Results
Formation energy = 1230 meV per atom
DOS at the Fermi energy = 3.03 states/eV per cell
Electronic total energy = -4.07 eV/atom
Magnetic moment = 0.00 μB per formula unit

a b c (Å): 4.937 4.937 5.235
angles (deg): 90.00 90.00 90.00
Positions (direct):
Zr (0.000, 0.000, 0.000)
Ti (0.000, 0.500, 0.500)
Ti (0.500, 0.000, 0.500)
Zn (0.500, 0.500, 0.000)
Cd (0.000, 0.000, 0.500)

~~~~~

TeRhW | meta-GGA SCAN | PBEsol geometry

Output
space group = F-43m (216)
polymorph energy (0 for the lowest one) = 13 meV per atom
N(E_F) = 2.73 states/eV/cell
E_form (uncorrected) = 421.6 meV per atom
=====


I'm not going back to Twitter or going to Twitter or any of those mass online don't. I find them to be an addiction that I don't really have conversations on. It's very reactionary. So I like Swell better than all of them. I haven't been on Facebook for well over a know. I've bounced in and out of Twitter every now and then. I hate being on LinkedIn even, but that's required of it
Eluchianna Olive
@Luchianna · 4:45
And that's fine, that's great, but I don't do the Twitter thing because I think it's not my cup of tea here. I feel like I can talk about a wide range of topics, but you have to put yourself out there. And I think sometimes people think, oh, am I talking too much? Because not always. You should have an opinion or give an advice, but it's not welcome to warranted, but this is a talking app, so what the hell?
